The idea for the symposium in this issue of AACN Advanced Critical Care came to me at the National Teaching Institute in Denver, Colorado, May 2014. A colleague, Roberta Fruth, a senior consultant with JCR Consulting, and I were discussing the challenges of the current health care environment. In her role, Dr Fruth consults with health care institutions on how they can create high-reliability organizations and improve patient safety. Dr Fruth commented that the complexity of today’s patient populations, the financial pressures of organizations, and the demands of the regulatory environment present overwhelming challenges to frontline staff. Her comment to me was that organizations need the expertise of clinical nurse specialists (CNSs)—to provide leadership in clinical expertise, quality improvement efforts to optimize patient outcomes, and professional advancement of the nursing staff—but the contributions of CNSs are not well recognized. As a CNS myself, of course I totally agreed!
Why don’t all organizations use CNSs? Some senior leaders lack an awareness of the CNS role or the contributions CNSs provide in achieving organizational goals. I have heard some chief nursing officers comment that CNSs don’t generate revenue; therefore, they are seen as a costly investment to a nursing department. This statement is only partially true—CNSs functioning in the traditional role don’t typically bill or generate revenue, but neither do nurse managers, nursing directors, staff nurses, or educators. Yet all, like CNSs, play valuable roles in the delivery of optimal care to patients and the functioning of the health care institution. So how do we increase the visibility of the wonderful outcomes CNSs can and have achieved?
(Attached: records of crystals)
____________
Model one:
Crystalline NaTaTi3 at its relaxed geometry. Source: Alexandria via LeMat-Bulk, functional PBE.

Its magnetization is 0.00 μB per formula unit.

Structure (CIF):
```
data_NaTaTi3
_chemical_formula_sum 'Na1 Ta1 Ti3'
_cell_length_a 4.9414
_cell_length_b 4.9414
_cell_length_c 4.9414
_cell_angle_alpha 90.00
_cell_angle_beta 90.00
_cell_angle_gamma 90.00
_symmetry_space_group_name_H-M 'P 1'
_symmetry_Int_Tables_number 1
loop_
_symmetry_equiv_pos_as_xyz
'x,y,z'
loop_
_atom_site_label
_atom_site_type_symbol
_atom_site_fract_x
_atom_site_fract_y
_atom_site_fract_z
Na1 Na 0.0000 0.0000 0.0000
Ta1 Ta 0.5000 0.5000 0.5000
Ti1 Ti 0.0000 0.5000 0.5000
Ti2 Ti 0.5000 0.0000 0.5000
Ti3 Ti 0.5000 0.5000 0.0000
```


Model two:
Crystalline NaTaTi3 at its relaxed geometry. Source: Alexandria via LeMat-Bulk, functional PBE.

Its magnetization is 0.00 μB per formula unit.

Structure (CIF):
```
data_NaTaTi3
_chemical_formula_sum 'Na1 Ta1 Ti3'
_cell_length_a 4.5841
_cell_length_b 4.5841
_cell_length_c 4.5841
_cell_angle_alpha 90.00
_cell_angle_beta 90.00
_cell_angle_gamma 90.00
_symmetry_space_group_name_H-M 'P 1'
_symmetry_Int_Tables_number 1
loop_
_symmetry_equiv_pos_as_xyz
'x,y,z'
loop_
_atom_site_label
_atom_site_type_symbol
_atom_site_fract_x
_atom_site_fract_y
_atom_site_fract_z
Na1 Na 0.0000 0.0000 0.0000
Ta1 Ta 0.5000 0.5000 0.5000
Ti1 Ti 0.0000 0.0000 0.5000
Ti2 Ti 0.0000 0.5000 0.0000
Ti3 Ti 0.5000 0.0000 0.0000
```


Tell me which of them is the least stable. Sure, it is model two.


Model one:
Crystalline Na2TaTi at its relaxed geometry. Source: Alexandria via LeMat-Bulk, functional PBE.

Its magnetization is 0.27 μB per formula unit.

Structure (CIF):
```
data_Na2TaTi
_chemical_formula_sum 'Na4 Ta2 Ti2'
_cell_length_a 6.4143
_cell_length_b 6.4143
_cell_length_c 6.4143
_cell_angle_alpha 98.99
_cell_angle_beta 98.99
_cell_angle_gamma 133.43
_symmetry_space_group_name_H-M 'P 1'
_symmetry_Int_Tables_number 1
loop_
_symmetry_equiv_pos_as_xyz
'x,y,z'
loop_
_atom_site_label
_atom_site_type_symbol
_atom_site_fract_x
_atom_site_fract_y
_atom_site_fract_z
Na1 Na 0.1140 0.6250 0.9890
Na2 Na 0.3750 0.3640 0.4890
Na3 Na 0.6360 0.1250 0.0110
Na4 Na 0.8750 0.8860 0.5110
Ta1 Ta 0.2500 0.7500 0.5000
Ta2 Ta 0.5000 0.5000 0.0000
Ti1 Ti 0.0000 0.0000 0.0000
Ti2 Ti 0.7500 0.2500 0.5000
```


Model two:
Crystalline Na2TaTi at its relaxed geometry. Source: Alexandria via LeMat-Bulk, functional PBE.

Its magnetization is 0.22 μB per formula unit.

Structure (CIF):
```
data_Na2TaTi
_chemical_formula_sum 'Na2 Ta1 Ti1'
_cell_length_a 4.8950
_cell_length_b 4.8950
_cell_length_c 4.8950
_cell_angle_alpha 60.00
_cell_angle_beta 60.00
____________
I continued to think about our conversation as I attended sessions at the National Teaching Institute and realized how many of the presenters were CNSs highlighting the good work they were doing in cost avoidance, decreasing lengths of stay, optimizing patient safety, improving patient outcomes, and mentoring staff nurses in evidence-based practice and professional presentation opportunities. All these contributions add value and are critical elements in improving health care delivery. It became clear that AACN Advanced Critical Care could highlight some of these success stories.
Therefore, this series provides examples of the work of CNSs. Lisa Soltis describes an interdisciplinary quality improvement project she led to improve the care of cardiovascular surgical patients in improving early extubation times after surgery. This project resulted in significant decreases in length of stay, decreased intensive care unit readmissions, and impressive cost savings. Stacy Jepsen describes a group effort in her institution to develop a CNS scorecard, clearly documenting to senior leaders the tangible outcomes of CNS-led quality improvement efforts. Dave Hanson highlights the valuable role CNSs play in the achievement of Magnet recognition. Finally, Paul Thurman describes one state’s efforts to ensure that CNSs are legally recognized as advanced practice nurses, protecting the use of the title and ensuring that CNSs are afforded the opportunity to practice to the full extent of their education and training, as recommended by the Institute of Medicine’s1 The Future of Nursing report.
Kenneth Davis, chief executive officer and president of Mount Sinai Health System in New York City, recently wrote in The Wall Street Journal:
The Affordable Care Act, as well as changes in how employers and insurance companies address health care, will try to change these disincentives and encourage health-care providers to manage populations…. However the population is defined, in the near future a hospital’s healthcare delivery network will be paid a certain amount to care for a given population.2
Clinical nurse specialists are uniquely prepared to improve the care of patient populations—whether in acute and critical care settings, the ambulatory/clinic setting, or in the transitions of patients between settings. The articles in this series highlight some of the work CNSs do in improving that care. I hope these examples help you provide education to health care leaders, staff, and patients about the valuable contributions of CNSs.
The author declares no conflicts of interest.